Forum Info

LPC Forum 2020
March 10, 2020

Workshop: One Size Does Not Fit All: Crowdsource Knowledge about Digital Publishing Workflows, Tools and Decisions

Day: Monday, May 4, 10:30 AM to 12:30 PM
Room: TBD

Presenters: Anita Walz, Virginia Tech; Corinne Guimont, Virginia Tech; Karen Bjork, Portland State University

Description: We’ve been experimenting with open textbook creation and production tools and workflows over the past five years. We notice a large number of variables which prompt our decision making around tools, including:

  1. Level of production support (DIY versus Boutique)
  2. Amount of interior design desired (for pedagogical purposes)
  3. Peer review process (open versus blind)
  4. Desire for easily adaptable content
  5. Author(s) technical fluency
  6. Copyediting methods
  7. Availability of trained staff or vendor services
  8. Budget

We will start this session by sharing example projects that demonstrate what we have learned about building workflows and using Pressbooks, Scribe, LaTeX, MSWord, and Google Docs.

We will then spend significant structured time eliciting and crowdsourcing participant knowledge regarding workflows and tools relevant to open monographs, digital publishing, and open textbooks. We hope to create and share a crowdsourced manual and invite contributions from participants who have identified additional decision criteria and/or have built various tools into their workflows, including but not limited to Manifold, Editoria, PubPub, Overleaf, Quire, RBookdown, Darwin Information Typing Architecture (DITA).

Because we are crowdsourcing input, this session is more appropriate for people who have been publishing and/or experimenting with different workflows.

LPC Forum 2020
March 10, 2020

Panel: The Practical Muse: Budgets, Roles, and Future Strategies

Day: Monday, May 4, 2:45 PM to 3:45 PM
Room: TBD

What is the Future of APCs? The Case at Dartmouth

Presenter: Shawn Martin, Dartmouth Library

Description: Many libraries, including Dartmouth, encourage open access by helping faculty pay for their article processing charges (APCs). The Dartmouth program started around 2011, and regulations (eg. no hybrid journals), the demand for APC funding has increased significantly over the past eight years, and we, like many institutions, have struggled with sustaining funding and finding the best way for libraries to encourage open access publishing in the future.

Over the past few months, I have analyzed the trends of Dartmouth’s APC fund. Most of the fund’s use is from STEM disciplines (especially the School of Medicine). APC charges have remained relatively stable over time. Somewhat surprisingly, the journals for which faculty request APC funds represent a wide variety of open access journals, not just large publishers such as Elsevier or Wiley. Finally, faculty, especially non-tenured and junior faculty, tend to request APC funds multiple times.

As we at the Dartmouth Library thinks about the future of the APC fund, we are faced with a complicated choice. The APC fund is a popular program with faculty, so decreasing the number of funded requests would not be well received. As more publishers utilize APCs, the library cannot simply increase funding indefinitely. What is the best way to encourage open access publishing? Should we focus funding on graduate

LPC Forum 2020
March 10, 2020

Full Session: How Instructional Design & OER Can Redefine What’s Possible for Library Publishing

Day: Wednesday, May 6, 11:30 AM to 12:30 PM
Room: TBD

Presenters: Hugh McGuire, Pressbooks; Jessica Egan, The American Women’s College at Bay Path University; Tim Clarke, Muhlenberg College

Description: Open licenses and emerging technology are enabling a revolution in instructional design and educational publishing. Traditional approaches to both publishing and instructional design often relied on the static, linear format of the printed book. Now that it’s possible to create and distribute learning materials digitally under open licenses, there is both an opportunity and a mandate to apply apply the findings of learning science to improve both teaching & learning materials and the learning experience of the learners served by institutions of higher education.

By offering no-cost digital and low-cost print alternatives to expensive proprietary content, open, collaborative content creation platforms (like Pressbooks) make it easier for librarians, instructors, and learners to collaborate in low-risk experiments in teaching and learning, including faculty/student co-authorship of learning materials, enriched digital-first textbook publishing practices, modular open content adaptation, and more.

There’s no better way to lead than by example; in this panel, two experienced instructional designers working on OER development and open pedagogy projects will join the founder of a popular open content creation platform to showcase successful projects at their institutions that are being put to use in real classrooms today. The intention of this showcase is to share lessons learned and proven development workflows, foster a greater exchange between the professional domains of library publishing and instructional design, and provide generative models and opportunities for collaboration among institutions interested in building new resources or adapting existing material better suited to meet the needs of learners.

LPC Forum 2020
March 10, 2020

Experimental Session: Editorial Control in Library Publishing: Who Does What and Why?

Day: Wednesday, May 6, 1:30 PM to 2:30 PM
Room: TBD

Discussion Leader: Robert Browder

Description: Let’s talk about editorial control and productive capacity in library publishing environments. Here are several observations to prime the conversation.

  1. Editorial control can be seen as a continuum. Authors or project owners exist at one end of the continuum and publishers exist at the other.
  2. Who holds editorial control determines how the productive capacity of library publishing departments is spent.
  3. The less editorial control publishing departments have, the more of their productive capacity is spent in supporting the authors and project owners who do have editorial control. Authors and project owners have more freedom to make choices about editorial and production processes.
  4. In the context of a publishing department that does not have editorial control, productive capacity is initiated through budget and staffing, but determined by the authors and project owners the department chooses to support. The productive capacity of such departments is subject to the skills and experience that project owners bring with them to collaborations. Thus, partners must be chosen carefully.
  5. The more editorial control publishing departments have, the more they are able to standardize their production processes, thereby creating the ability to publish higher volumes of scholarship.
  6. In the context of a publishing department that does have editorial control, productive capacity is initiated through budget and staffing, but maintained through carefully chosen workflows and a commitment to strictly adhere to those workflows.
  7. When publishers hold editorial control and enforce a systematic process, opportunities for creativity and experimentation in the publication process are diminished for authors/project owners while the ability to publish higher volumes of scholarship is increased.

LPC Forum 2020
March 10, 2020

Plenary: Career Development Lab: Professional Development and Transferable Skills in Library Publishing

Day: Tuesday, May 5, 8:45 AM to 9:45 AM
Room: TBD

Moderator: John W. Warren, George Washington University

Panelists: Kyle Gipson, Assistant Acquisitions Editor, Johns Hopkins University Press; Gita Manaktala, Editorial Director, The MIT Press; Hanni Nabahe, Resident Librarian, Scholarly Resources and Content Strategy, University of Virginia Library; Elizabeth Scarpelli, Director, University of Cincinnati Press & CLIPS; Laurie N. Taylor, Senior Director for Library Technology and Digital Strategies, University of Florida; Editor-in-Chief, LibraryPress@UF

[Here the article breaks off for calculated crystals]
# Sm2MnCrO6

A relaxed structure of Sm2MnCrO6 (PBE with a Hubbard U, Alexandria).

Geometry as extended XYZ:
```
10
Lattice="5.365 0.000 0.000 2.503 4.765 0.000 2.513 1.535 4.514" Properties=species:S:1:pos:R:3 pbc="T T T"
Sm 2.562 1.564 1.123
Sm 7.820 4.736 3.391
Mn 0.000 0.000 0.000
Cr 5.191 3.150 2.257
O 3.597 2.731 3.389
O 5.063 5.006 3.003
O 4.081 3.815 0.727
O 6.300 2.486 3.787
O 5.318 1.295 1.511
O 6.785 3.570 1.125
```

Output
final energy = -7.93 eV/atom
SG = P-1
spin magnetization = 5.0 μB per cell

* * * * *

Entry 1:
A plane-wave DFT calculation with PBE was carried out for Li6NdCu6 after structural relaxation.

Values from the calculation:
* DOS(E_F): 0.5501 states/eV per atom
* magnetization: 0.00 μB per cell
* space-group type: Immm (71)

Structure (extended XYZ):
```
13
Lattice="4.6570 0.0000 1.8614 2.2941 6.2630 1.0169 0.0038 -0.0571 6.7468" Properties=species:S:1:pos:R:3 pbc="T T T"
Cu 4.1175 4.8693 3.2112
Cu 3.4755 3.1315 1.4392
Cu 2.8374 1.3367 6.4139
Cu 0.0019 -0.0285 3.3734
Cu 1.1470 3.1315 0.5085
Cu 2.3304 -0.0285 4.3041
Li 3.1445 3.9788 5.6456
Li 5.1251 4.8941 7.4467
Li 1.8298 1.3119 2.1784
Li 1.4994 4.0702 3.0050
Li 3.8104 2.2271 3.9796
Li 0.7985 2.1358 4.7587
Nd 0.0000 0.0000 0.0000
```

Entry 2:
A plane-wave DFT calculation with PBE was carried out for LiNd2Cu after structural relaxation.

Values from the calculation:
* DOS(E_F): 1.0050 states/eV per atom
* magnetization: 0.00 μB per cell
* space-group type: R-3m (166)

Structure (extended XYZ):
```
4
Lattice="-2.2967 -1.1091 2.4189 -3.1990 -1.0793 -0.9783 1.9719 -11.0063 -0.6204" Properties=species:S:1:pos:R:3 pbc="T T T"
Li 0.0000 0.0000 0.0000
Nd -4.3299 -5.3383 1.1032
Nd 0.8060 -7.8564 -0.2831
Cu -1.7619 -6.5973 0.4101
```

| no. | energy of formation (eV per atom) |
| --- | --- |
| 1 | -0.060 |
| 2 | 0.221 |

* * * * *

DFT (PBE-GGA) results for InReSb2 after structural relaxation.

The value obtained for the density of states at the Fermi level is 2.8 states/eV/cell. The total energy comes out at -5.46 eV per atom. The calculation puts the uncorrected formation energy at 154 kJ/mol of formula units.

abc: 3.2480 3.2480 8.5814
angles: 90.00 90.00 90.00
Fractional positions:
Sb 0.0000 0.0000 0.9349
Sb 0.5000 0.5000 0.2620
Re 0.5000 0.5000 0.7550
In 0.0000 0.0000 0.5480

* * * * *

Compound: LiReTc
Source: the Alexandria database
Functional: GGA-PBEsol
Structure: relaxed

Properties
ρ, Mg/m³: 11.051
M_tot, Bohr magnetons per cell: 0.00
Energy of formation from the pure elements, meV/atom: 207
Density of states at the Fermi level, states/eV per cell: 1.554

a = 2.720 Å, b = 2.720 Å, c = 6.830 Å
α = 90.00°, β = 90.00°, γ = 120.00°
Positions (direct):
Li1 0.000 0.000 0.000
Re1 0.333 0.667 0.651
Tc1 0.667 0.333 0.349

=====

Compound: LiRe2Tc
Source: the Alexandria database
Functional: GGA-PBEsol
Structure: relaxed

Properties
Energy above the lowest structure with this stoichiometry, eV per atom: 0.000
ρ, Mg/m³: 14.542
M_tot, Bohr magnetons per cell: 0.00

Description: The Career Development Lab provides discussion, strategies to employ, and possible answers to the following questions: What are the key skills needed for successful careers in library and university press publishing in the next ten years? Has scholarly and academic publishing shifted from a ‘trade’—an apprenticeship, learned mostly on the job—to a ‘profession’—learning and applying a body of relevant skills and best-practices? What is the value of a master’s degree in publishing master’s in library and information science, MBA, or other graduate degree? How can we be inclusive of diverse voices and perspectives, so that they integrated seamlessly into the fabric of library and academic publishing, and what can individuals in the profession do to welcome new voices? We will engage audience participants in some of these questions in an interactive format, and will actively seek input and comments from participants. This event welcomes early career professionals as well as those further along in their publishing career.


LPC Forum 2020
March 10, 2020

Full Session: Sharing, Learning, and Supporting Across Institutions: Experiences from the Pilot Year of the LPC Mentorship Program

Day: Monday, May 4, 4:15 PM to 5:15 PM
Room: TBD

=====
Entry 1:
This record from Alexandria describes a relaxed structure of Cs2Ga2Hg. The functional is PBE.

For the formation enthalpy at 0 K, the calculation gives 0.020 eV per atom.

abc: 12.3667 12.3667 12.3667
angles: 161.23 161.23 26.67
Closest atoms and distances in Å follow each position.
Atoms (fractional coordinates):
1 Cs 0.1108 0.1108 0.0000  4 Hg 3.91, 4 Ga 3.91, 4 Cs 4.03
2 Cs 0.8892 0.8892 0.0000  4 Hg 3.91, 4 Ga 3.91, 4 Cs 4.03
3 Ga 0.2500 0.7500 0.5000  4 Ga 2.85
4 Ga 0.7500 0.2500 0.5000  4 Ga 2.85
5 Hg 0.5000 0.5000 0.0000  8 Cs 3.91, 4 Hg 4.03

---

Entry 2:
This record from Alexandria describes a relaxed structure of Tc2Pt2I. The functional is PBE.

The calculation puts the polymorph energy (0 for the lowest one) at 0.000 eV/atom. The uncorrected formation energy is 2.6 eV/f.u.

abc: 6.9138 6.9138 3.7238
angles: 90.00 90.00 90.00
Closest atoms and distances in Å follow each position.
Atoms (fractional coordinates):
1 Tc 0.1270 0.3730 0.0000  1 Tc 2.48, 2 I 2.72, 4 Pt 2.73
2 Tc 0.3730 0.8730 0.0000  1 Tc 2.48, 2 I 2.72, 4 Pt 2.73
3 Tc 0.6270 0.1270 0.0000  1 Tc 2.48, 2 I 2.72, 4 Pt 2.73
4 Tc 0.8730 0.6270 0.0000  1 Tc 2.48, 2 I 2.72, 4 Pt 2.73
5 Pt 0.1591 0.6591 0.5000  6 Tc 2.73-2.80
6 Pt 0.3409 0.1591 0.5000  6 Tc 2.73-2.80
7 Pt 0.6591 0.8409 0.5000  6 Tc 2.73-2.80
8 Pt 0.8409 0.3409 0.5000  6 Tc 2.73-2.80
9 I 0.0000 0.0000 0.0000  4 Tc 2.72
10 I 0.5000 0.5000 0.0000  4 Tc 2.72

---

Entry 3:
This record from Alexandria describes a relaxed structure of Th2Cd16Au. The functional is PBE.

For the formation enthalpy at 0 K, the calculation gives -0.092 eV per atom.

abc: 7.6388 7.6388 7.6388
angles: 82.30 82.30 82.30
Closest atoms and distances in Å follow each position.
Atoms (fractional coordinates):
1 Th 0.0000 0.0000 0.0000  1 Au 3.09, 3 Cd 3.44
2 Th 0.3356 0.3356 0.3356  19 Cd 3.55-3.97
3 Cd 0.0196 0.0196 0.5364  8 Cd 2.85-3.17, 1 Au 2.97
4 Cd 0.0196 0.5364 0.0196  8 Cd 2.85-3.17, 1 Au 2.97
5 Cd 0.1914 0.6530 0.6530  9 Cd 2.89-3.01, 1 Au 3.18
6 Cd 0.3014 0.3014 0.8623  8 Cd 2.85-3.19
7 Cd 0.3014 0.8623 0.3014  8 Cd 2.85-3.19
8 Cd 0.3717 0.6727 0.9693  8 Cd 2.89-3.19
9 Cd 0.3717 0.9693 0.6727  8 Cd 2.89-3.19
10 Cd 0.5364 0.0196 0.0196  8 Cd 2.85-3.17, 1 Au 2.97
11 Cd 0.5868 0.5868 0.5868  9 Cd 2.98-3.26, 1 Au 3.07
12 Cd 0.6530 0.1914 0.6530  9 Cd 2.89-3.01, 1 Au 3.18
13 Cd 0.6530 0.6530 0.1914  9 Cd 2.89-3.01, 1 Au 3.18
14 Cd 0.6727 0.3717 0.9693  8 Cd 2.89-3.19
15 Cd 0.6727 0.9693 0.3717  8 Cd 2.89-3.19
16 Cd 0.8623 0.3014 0.3014  8 Cd 2.85-3.19
17 Cd 0.9693 0.3717 0.6727  8 Cd 2.89-3.19
18 Cd 0.9693 0.6727 0.3717  8 Cd 2.89-3.19
19 Au 0.7929 0.7929 0.7929  7 Cd 2.97-3.18, 1 Th 3.09

---

Entry 4:
This record from Alexandria describes a relaxed structure of BaMg2ZnTe4. The functional is PBE.

The uncorrected formation energy is -7.2 eV/f.u.

abc: 7.7378 7.7378 15.3589
angles: 90.00 90.00 147.28
Closest atoms and distances in Å follow each position.
Atoms (fractional coordinates):
=====

Presenters: Chelsea Johnston (University of Florida), Sarah Wipperman (Villanova University), Ian Harmon (West Virginia University), Jody Bailey (Emory University), and Ally Laird (Pennsylvania State University)

Description: While mentoring is common within librarianship, the structure of mentoring programs varies widely. Mentor/mentee relationships may be casual or formal; participants may or may not belong to the same institution or follow similar career paths; the goal may be career-focused or may be to foster a sense of support and belonging. Whatever the structure of a mentoring program, establishing and communicating grounded expectations determine the success of the relationship.

In 2019, the Professional Development Committee of the Library Publishing Coalition launched its pilot Mentorship Program. The Program aims to orient mentees to the LPC and enrich mentors’ experiences with the LPC, building relationships between the two, and to further the development of library publishing through a professional, semi-structured mentorship program. Mentors and mentees were paired up in late February 2019 and provided with suggestions and guidelines on meeting throughout the year.

In this presentation, two pairs of mentors/mentees from the LPC Mentorship Program will discuss shared and separate experiences with establishing a trusted and productive mentoring relationship. We will also recommend strategies for successful mentoring, such as discussing preferred outcomes/goals and being upfront about limitations. There will be ample time for audience questions, and other LPC mentor/mentee pairs are encouraged to attend and share their experiences during this time. Through our session, we hope to host an open conversation that encourages attendees to examine their connections to mentoring, growing a stronger practice within the LPC community.

Learning Outcomes

Through this session, attendees will:

  • Learn more about the LPC Mentorship Program
  • Discover strategies for establishing a successful mentoring relationship
  • Engage in a discussion about mentorship and share experiences

LPC Forum 2020
March 10, 2020

Experimental Session: Decoding the Directory: Library Publishing Directory Focus Group Session

Day: Wednesday, May 6, 10:15 AM to 11:15 AM
Room: TBD

Presenters: Jessica Kirschner, Virginia Commonwealth University; Robert Browder, Virginia Tech; Ellen Dubinsky, University of Arizona; Janet Swatscheno, University of Illinois at Chicago’ Amanda Wentworth, SUNY Geneseo

Description: The Library Publishing Directory provides an overview of the activities, technologies, organizational structure, partnerships, and priorities of library publishers worldwide. In the seven years since the first Directory was released, the library publishing landscape has evolved, with changes to the types of publications produced, services provided, platforms used, and more. In preparing for the most recent edition, the LPC decided to revisit the directory’s data model, asking whether the data we collect reflects the current state of the field and meets the purposes originally outlined for the Directory: introduce readers to library publishing, facilitate collaboration between publishers and other publishing entities, and enable benchmarking. To this end, the LPC formed a task force in the Spring of 2019 to evaluate the current data model and the survey used to collect such information. Led by the LPC Directory Committee, this session aims to continue the work of this task force, turning directly to LPC members for feedback on the directory’s data model and survey. After briefly reviewing the recent changes made to the 2020 Directory as a result of the task force’s work, this interactive session will ask attendees (the focus group) to share thoughts on additional considerations for future Directories, including:

  • How to best capture the evolving relationship between university presses and library publishing programs
  • How to best capture the full breadth of what we publish, such as emerging publication types and legacy journals
  • Identifying a subset of Directory questions that are more broadly applicable than the current in-depth survey
  • General feedback on any gaps in data collection or responses to the directory’s purpose.

Feedback from participants will help shape the data model and survey process moving forward.

LPC Forum 2020
March 10, 2020

Full Session: Creative Staffing Solutions for Library Publishing: Layout, Graphic Design, Copyediting, Project Management, and More

Day: Tuesday, May 5, 10:15 AM to 11:15 AM
Room: TBD

Presenters: Marianne Reed, University of Kansas; Johanna Meetz, The Ohio State University (formerly Pacific University); Chelsea Johnston, University of Florida

Description: Like many areas of librarianship, the library publishing community is increasingly challenged to do more with less. As library publishers, we aim to offer traditional publishing services such as consultation about the publishing lifecycle, hosting of content and its long-term preservation, along with more uncommon services such as copyediting, layout, graphic design, and project management. Library publishing programs also face new demands for support for digital scholarship and digital humanities programs.  In this panel, three institutions will discuss staffing solutions for their publishing programs. These programs range from new to established; support ranges from one librarian to a department with several staff positions. Representatives from the University of Kansas, Pacific University, and the University of Florida will share strategies, lessons learned, and planned next steps for future initiatives.

LPC Forum 2020
March 10, 2020

Panel: Customizing Technology to Meet Editorial and Production Challenges

Day: Wednesday, May 6, 2:45 PM to 3: 45 PM
Room: TBD

Serving the Niche: Choosing Monograph Production Workflows to Suit Library Publishing Needs

Presenters: Lauren Stachew, Michigan Publishing, University of Michigan; Patrick Goussy, Michigan Publishing, University of Michigan

Description: Michigan Publishing Services, a division of Michigan Publishing within the University of Michigan Library, provides publishing services to the University of Michigan community, including faculty, faculty emeriti, students, and others campus-wide. After an approval process, when a monograph is accepted and moved into production, how do we determine the best workflow for the book—and author’s—needs?

Serving the Niche: Choosing Monograph Production Workflows to Suit Library Publishing Needs will outline various production workflows utilizing different resources and expertise: external production vendors, internal tools and partnerships, and collaborative publishing platforms, using example monographs from our open access Maize Books imprint. In examining our workflows, we will discuss determining a book’s complexity, associated production costs, and managing expectations and timelines.

We hope that this presentation will encourage other library publishers to consider operating their own service-based monograph publishing division. For libraries who already publish monographs, we hope that sharing our production workflows will be helpful in determining and/or streamlining their own workflows going forward.

Migrating Journals: Working with Editors

Presenter: Johanna Meetz, Pacific University

Description: In 2019 Pacific University migrated all journals published via Digital commons to Ubiquity Press’ journal publishing platform. This presentation will discuss that process, with a focus on working with faculty editors who are both located locally as well as across the country. It will focus on:

  • Communicating with stakeholders about the migration, including journal editors (timing, testing the new platforms, and deciding when to go live)
  • Training editors to use a new platform (this was a challenge because I never use the same features of the site as the editors do)
  • Working with editors on site designs (some editors were very particular with the design, others were less invested and both present unique challenges)
  • Working through growing pains (general dissatisfaction with platform idiosyncrasies)

/*
Here is a geometry-optimized K2ZrBe structure from the Alexandria database. Energies are from GGA-PBEsol.

The structure in POSCAR format:
```
K2ZrBe
1.0
1.690 -2.607 0.000
1.690 2.607 0.000
0.000 0.000 12.456
K Zr Be
2 1 1
Direct
0.000 0.000 0.226
0.000 0.000 0.774
0.500 0.500 0.500
0.500 0.500 0.000
```

## Properties
Crystal system: orthorhombic
ρ: 2.7 g cm⁻³
Formation energy from the elements: 1.1182 eV/atom
Spin magnetization: 0.000 μB per atom

---

Here is a geometry-optimized K2ZrBe structure from the Alexandria database. Energies are from GGA-PBEsol.

The structure in POSCAR format:
```
K2ZrBe
1.0
2.928 0.000 0.000
0.000 6.294 0.000
-0.070 0.000 5.693
K Zr Be
2 1 1
Direct
0.234 0.000 0.236
0.766 0.000 0.764
0.000 0.500 0.500
0.500 0.500 0.000
```

## Properties
Crystal system: monoclinic
ρ: 2.8 g cm⁻³
Formation energy from the elements: 1.1213 eV/atom
Spin magnetization: 0.001 μB per atom

---

Here is a geometry-optimized La2Be structure from the Alexandria database. Energies are from GGA-PBEsol.

The structure in POSCAR format:
```
La2Be
1.0
2.119 -5.618 0.000
2.119 5.618 0.000
0.000 0.000 6.661
La Be
4 2
Direct
0.027 0.973 0.500
0.288 0.712 0.308
0.712 0.288 0.808
0.973 0.027 0.000
0.395 0.605 0.739
0.605 0.395 0.239
```

## Properties
Crystal system: orthorhombic
ρ: 6.0 g cm⁻³
Distance to the lowest polymorph of the same formula: 0 meV per atom
Formation energy from the elements: 0.2236 eV/atom
Spin magnetization: 0.000 μB per atom

---

Here is a geometry-optimized La3Be2 structure from the Alexandria database. Energies are from GGA-PBEsol.

The structure in POSCAR format:
```
La3Be2
1.0
4.818 0.000 0.000
-2.409 4.173 0.000
0.000 0.000 6.133
La Be
3 2
Direct
0.000 0.000 0.000
0.333 0.667 0.382
0.667 0.333 0.618
0.333 0.667 0.883
0.667 0.333 0.117
```

## Properties
Crystal system: trigonal
ρ: 5.9 g cm⁻³
Formation energy from the elements: 0.2541 eV/atom
Spin magnetization: 0.000 μB per atom

---

Here is a geometry-optimized La3Be structure from the Alexandria database. Energies are from GGA-PBEsol.

The structure in POSCAR format:
```
La3Be
1.0
5.104 2.947 1.220
-5.104 2.947 1.220
0.000 -5.894 1.220
La Be
3 1
Direct
0.000 0.500 0.500
0.500 0.000 0.500
0.500 0.500 0.000
0.000 0.000 0.000
```

## Properties
Crystal system: trigonal
ρ: 6.4 g cm⁻³
Distance to the lowest polymorph of the same formula: 104 meV per atom
Formation energy from the elements: 0.3393 eV/atom
Spin magnetization: 0.000 μB per atom

---

Here is a geometry-optimized La3Be structure from the Alexandria database. Energies are from GGA-PBEsol.

The structure in POSCAR format:
```
La3Be
1.0
4.783 0.000 0.000
0.000 4.783 0.000
0.000 0.000 4.783
La Be
3 1
Direct
0.000 0.000 0.500
0.000 0.500 0.000
0.500 0.000 0.000
0.500 0.500 0.500
```

## Properties
Crystal system: cubic
ρ: 6.5 g cm⁻³
Distance to the lowest polymorph of the same formula: 0 meV per atom
Formation energy from the elements: 0.2357 eV/atom
Spin magnetization: 0.000 μB per atom

---
*/

In addition to these issues, I will also briefly discuss some of the more technical/logistical obstacles, like:

  • How we chose to handle articles that were still in review in the old platform after the new platform went live
  • How we chose to handle training for an editor who came on board as we were transitioning to the new platform
  • Making changes to article templates (including cover sheets) to reflect new information (titles, websites, etc) of journals

LPC Forum 2020
March 10, 2020

Experimental Session: Help Me Plan a Publishing Program: A Collaborative Discussion on Developing or Expanding Library Publishing Services

Day: Wednesday, May 6, 3:15 PM to 5:15 PM
Room: TBD

Presenter: Emily Stenberg, Washington University in St. Louis

Description: Are you developing or expanding a library publishing program? Do you attend presentations and leave with great ideas you’re not sure how to implement at your institution? How do you take practical steps while incorporating larger philosophical goals? This will be a chance for participants to brainstorm together and participate in discussion groups to address how to move forward with program development. The session will focus on 2-3 discussion topics, voted on by participants. Depending on the size of the group, there may be smaller breakout sessions. Takeaways will include a version of the 3-3-3 Action Plan for participants to work from after the conference.